Attending: Members present: Ed Anapol, Mike Baptiste, Pakis Bessias, John Board, Dick Danner, Angel Dronsfield, Brian Eder, Nevin Fouts, Tracy Futhey, Patrick Halpin, David Jamieson-Drake, Roger Loyd, Melissa Mills, George Oberlander, Lynne O'Brien, Mike Pickett, Mike Russell, Molly Tamarkin, Fred Westbrook, Robert Wolpert, Steve Woody

Guests: Ginny Cake, Rob Carter, Chris Cramer, Debbie DeYulia, Dana Risley, Nhan Vo

Call to Order: Meeting called to order 4:08 pm

I. Review of Minutes and Announcements:

No changes to the minutes noted

MCNC/HPCC - Tracy Futhey

MCNC is in the midst of deciding how to split up into 2 entities

Records of molecules from another source follow:
~~~
[1]
Here is C19H18AgBrNO4S as an isolated structure from OMol25. Energies are from ωB97M-V/def2-TZVPD.

XYZ file:
```
45
Properties=species:S:1:pos:R:3:lowdin_charge:R:1
Ag -0.234 0.584 -0.793 0.6643
Br -2.862 -0.428 0.000 0.7225
C -2.410 -0.165 1.840 -0.5916
C -3.325 -0.644 2.733 -0.1591
C -3.112 -0.478 4.114 -0.0952
C -2.000 0.176 4.547 -0.0524
C -1.048 0.680 3.629 -0.1806
C 0.090 1.364 4.113 -0.0655
C 1.015 1.850 3.240 -0.1046
C 0.846 1.658 1.853 -0.1689
C -0.231 0.994 1.295 -0.2430
C -1.213 0.509 2.223 -0.2479
H -4.211 -1.150 2.376 0.0856
H -3.837 -0.870 4.816 0.0984
H -1.821 0.318 5.606 0.1060
H 0.209 1.484 5.184 0.1023
H 1.890 2.372 3.609 0.0941
H 1.626 2.047 1.207 0.0687
C -2.431 3.421 -0.212 -0.0237
C -1.718 3.638 -1.516 -0.4897
C -1.648 5.033 -2.100 -0.0190
O -1.201 2.716 -2.115 -0.0162
H -2.766 4.348 0.247 0.0735
H -1.762 2.876 0.460 0.0567
H -3.287 2.768 -0.390 0.0784
H -2.106 5.787 -1.467 0.0685
H -2.140 5.027 -3.073 0.0852
H -0.599 5.280 -2.268 0.0862
N 0.747 -0.364 -2.560 -0.0160
C 1.473 -1.614 -2.398 -0.3236
C 1.570 -2.506 -3.462 -0.0463
C 2.295 -3.675 -3.316 -0.0573
C 2.937 -3.957 -2.114 -0.2573
C 2.828 -3.069 -1.065 -0.0500
C 2.088 -1.899 -1.194 -0.0452
S 3.877 -5.489 -1.974 0.3966
O 4.639 -5.534 -3.216 -0.3748
O 4.678 -5.311 -0.772 -0.3755
O 2.849 -6.515 -1.873 -0.3677
H 0.099 -0.462 -3.336 0.0819
H 1.404 0.361 -2.838 0.0901
H 1.089 -2.276 -4.407 0.1021
H 2.395 -4.375 -4.135 0.1137
H 3.332 -3.299 -0.135 0.1098
H 1.985 -1.212 -0.362 0.0867
```

Properties
Spin multiplicity ... 1
Total charge ... -1
Lowest unoccupied orbital energy ... 2.11 eV


[2]
Here is C29H35BrN6ReSe2Si as an isolated structure from OMol25. Energies are from ωB97M-V/def2-TZVPD.

XYZ file:
```
75
Properties=species:S:1:pos:R:3:mulliken_spin:R:1
Re -0.134 -0.215 0.053 1.9478
C 0.739 2.463 -0.938 -0.0052
N 0.727 1.743 0.346 0.0231
C 2.095 1.502 0.834 -0.0198
C 2.720 0.272 0.209 -0.0057
C 4.096 0.162 0.082 0.0073
C 4.649 -0.996 -0.443 -0.0072
C 3.789 -2.007 -0.847 -0.0027
C 2.428 -1.831 -0.690 -0.0270
N 1.893 -0.729 -0.149 -0.0123
C -0.121 2.479 1.297 -0.0102
C -1.581 2.126 1.081 0.0127
C -2.581 2.925 1.607 0.0051
C -3.902 2.516 1.502 -0.0063
C -4.178 1.332 0.839 -0.0060
C -3.129 0.593 0.323 -0.0228
N -1.856 0.965 0.456 -0.0048
C 0.874 1.525 -2.105 0.0222
C 1.577 1.873 -3.245 0.0018
C 1.588 1.001 -4.323 -0.0092
C 0.885 -0.188 -4.214 0.0023
C 0.239 -0.482 -3.026 0.0053
N 0.240 0.351 -1.986 -0.0181
H 1.530 3.221 -0.956 -0.0014
H -0.222 2.976 -1.058 -0.0063
H 2.046 1.324 1.915 -0.0010
H 2.734 2.375 0.667 -0.0005
H 4.725 0.977 0.400 0.0005
H 5.717 -1.108 -0.538 -0.0005
H 4.158 -2.923 -1.277 0.0014
H 1.732 -2.598 -1.006 0.0037
H 0.039 3.562 1.228 0.0015
H 0.133 2.172 2.319 -0.0079
H -2.320 3.835 2.119 -0.0002
H -4.695 3.106 1.929 -0.0005
H -5.190 0.973 0.744 0.0015
H -3.298 -0.340 -0.197 -0.0079
H 2.108 2.809 -3.279 0.0010
H 2.132 1.248 -5.222 -0.0005
H 0.838 -0.890 -5.029 0.0008
H -0.290 -1.417 -2.902 -0.0132
C -5.783 0.381 -5.342 -0.0014
~~~

One piece will go into start up, entrepreneurial type things while the other part will go into the HPCC (High Performance Computing Consortium) which is focused on super computing and things such as bio grid efforts. This is the entity that will have more focus on education and research on campus.

MCNC does not have the same endowment it once had, and so there is active discussion about developing a business plan for MCNC. They need to decide what they want to be and what they can afford it to be. Their plan is midway through, so there will be more information upcoming. Faculty members may hear about this and ask about it.

Right now there is a small number of faculty involved in this, possibly 30 at the most. There will be changes over next several months to sustain the business model. The person running this is leaving, so they are doing some incremental changes. The state gives them an allocation of money every year, as the state reduces the allocation, they subsidize it through their endowment, however, now they need a different plan because the endowment will only keep them going another couple of years.

Exploration Meetings Reminder - Mike Pickett

Several topics are being explored: -portals -document imaging and CMS -e-business/e-commerce

If there is any interest in any of these areas please e-mail Mike and you will get a call as to what times would work for you to participate in spending a couple of hours talking about what you are doing, or listening to what others are doing, or just exploring the topics. If you are just interested in finding out what the end results are, just send Mike an e-mail as well letting him know.

Meeting Dates: There are several ITAC meeting dates that Tracy will not be able to attend. Thursday at 4 pm also seems to be in conflict with other meetings faculty members have. There will be a meeting 2 weeks from today - 9/5/02 - but after that, the dates have to be announced. Please send Mike e-mail if you have any specific scheduling problems and cannot make the meeting on a particular day or at a particular time.

II. DSL Proposal - Angel Dronsfield

Angel passed out the proposal paper that documents the current recommendation for Duke DSL. The team consisted of: Angel Dronsfield, Ginny Cake, Bob Currier, Chris Cramer, Dan Risley, and Debbie DeYulia.
The team was charged to evaluate current service offerings and make a recommendation based on a financial analysis of the service as well as looking at the end user impact.

Ginny handed out a chart documenting different categories of users.

  • Typical Users - Their functions are: using e-mail, web browsing, they do not require a static IP, they just want always on, fast, reliable service. These could be users on any speed of Duke DSL, and they could move to any speed commercial DSL. Their needs would be met with the disconnection of Duke DSL service
  • Duke specific users - Their functions are: using e-mail, web browsing, access to Duke protected resources, they also want always on, fast, reliable service. They could be users on any speed of Duke DSL and they could move to any speed commercial DSL. Their needs would be met with the disconnection of Duke DSL service if they used the proxy server or with the use of the future VPN.
  • Multi-environment users- Their functions are: they are at one site with multiple computers with additional IP addresses. They want always on, fast, reliable service. They could be users on any speed Duke DSL and they could move to any speed commercial DSL. Because they do not require a static IP address or a Duke IP address, their needs would be met with the disconnection of Duke DSL service by using multiple IP addresses that are available with commercial DSL or Cable modem service. They could also install a home router.
  • Service Delivery - Their functions are: using e-mail, web browsing, accessing Duke protected resources, making large file transfers, they require faster upload speeds, they run services such as web servers or connect to their machine remotely. They also want, always on, fast, reliable service. They are most likely platinum plus users with a static IP address. Because they require a static IP address as well as fast upload speeds, there would be a personal trade off between upload and download speeds for medium and high commercial offerings. They would require use of the future VPN to access Duke IP restricted resources, as well as some other technology for a static IP address, if required.

Major Issues: Static IP address. Need VPN for Duke IP addresses. Permissibility of traffic we would need with commercial vendors. Commercial offering would not have as high of an uplink speed as is offered now through Duke. Need easy way to pay with Duke funds.

Decision: Go with recommendation of a combination of Option 1 and Option 3. Go month to month allowing new users on a case by case basis depending on their computing needs. After 4-6 months when the VPN is in place, phase out Duke DSL in favor of a combination of preferred broadband vendors and a Duke VPN, where necessary.

To Do: A group will be formed to access the needs of the preferred vendors and negotiations with them will begin in the near future. Communicate this to the Duke community, update the Web site with appropriate information.

Robert Wolpert - He believes that more than what is represented in the chart and paper requires a static IP address

Chris Cramer - The VPN will allow users to access restricted servers. It takes care of the client side of things. Static IP addresses are needed to access a home machine from work. However, there are ways to work around not
having a static IP address and being able to do this.

Robert Wolpert - Every faculty member in his department has multiple machines in their home. A number of people who have web or SSH servers is growing and we can expect this growth to continue to increase considerably over the next couple of years.
Mike Baptiste- Some of the residential offerings of DSL or cable modem are starting to block ports making it hard to have routers or VPNs at home.
David Jamieson-Drake - It seems a risk to hand over services to commercial vendors where you no longer have control when you can keep the service and have and control over it.
Molly Tamarkin - It seems to be important to define what Duke's view towards supporting research at home really is. It could be that it is extremely expensive.
Chris Cramer - You then have to support faculty home computers which can be
Robert Wolpert - You would then need to hire more resources to accomplish this.

Melissa Mills - She agrees we want to be strategic with our negotiations with vendors and that the proposal or recommendation has been sensitive about a transition. Arts and Sciences is very careful about the services they allow faculty to run at home on work machines.They need to be careful to protect the work the faculty member is doing at home and there is a real opportunity for home machines to be hacked if they are not protected correctly.

Lynne O'Brien: An agenda item we may wan to pursue is : what are implications wanting to have same services at home and work and how to accomplish that safely?

Brian Eder- Not all faculty live in Durham, some live in Chapel Hill or Raleigh, etc. so just looking at Duke DSL may not suit all needs.

Angel Dronsfield - A lot of physicians who need access live in Cary, Chapel Hill, or areas not served by Duke DSL.

Chris Cramer - From a technical standpoint, if one needs to get in at home like they are at work, the VPN will address that. If they need to get into their computer from work, there will need to be other solutions.

George Oberlander - It seems that having and supporting work at home raises legal and security issues. Having patient and student data and financially supporting it, may make Duke morally and legally bound by supporting this infrastructure. This would require some serious resources.

Fred Westbrook- Would like to hear about how Nhan's VPN is going on the Health System side.

Nhan - passed out a handout: Cisco VPN 3080 Concentrator. They use one box as primary and have a second for redundancy Currently there are 700 accounts on the HS VPN. The VPN is hooked up beside the firewall, so all traffic from non-Duke IP addresses will hit VPN concentrator and give a Duke IP address once they authenticate, this allows you to get into restricted sites. There are some issues, such as printing: you cannot print, for example, if you have RoadRunner and are connected to the VPN. You cannot print to your local printer because you now have a Duke IP address and Duke becomes your ISP. The VPN can have different configurations. They have theirs set up so you cannot save the VPN password on your machine, you must enter it every time you login for security. They notify users of their password, it is a separate login and password from other accounts.

Robert Wolpert - You need a client on your machine, do they have clients for all types of OSs?

Nhan Vo - Yes, there are widespread clients available.

Tracy Futhey- Our current contract expires in days, at the end of August. We have 3 options available, continue on month-to-month basis, there are obvious risks with this option such as the price can change at anytime, we do not have a contract, etc. Option 2 - We can extend our current contract with different service levels
and pricing for 3 years- Over time these will be minimal speeds and will be very slow. Option 3 - Find a commercial option.

The recommendation is a combination of option 1 and 3. Option 1 until the VPN is in place, which has a target date of 4-6 months, and then move to option 3 If we go on month to month basis the rates will still need to increase to reflect real costs. A change must be made today - it is whether we say we are making a temporary change and still thinking about things or we make a permanent change now. The VPN is going to happen no matter what happens with this service.

Mike Baptiste - you could look into branch tunneling Even if you have VPN into duke, you need to watch for things like viruses, you may be able to use the VPN for advanced users and could give Duke IP addresses to them.

Molly Tamarkin- Concerned about supporting users at home Duke DSL is not an option for most of her community of users If the service is expanded we also need to expand number of people to support this We may need to rethink how we support people off campus.

Melissa Mills - Need to take a pro-active stance, what we are able to offer, they seem to support people at home and wind up going way beyond call of duty

Nevin Fouts - Maybe if you are going to "loosely connect" you can use your own system However, a nurse or doctor, who has criticality, receives a duke owned and configured machine with nothing on it that would cause major security/support issues.

Tracy asked who had non-Duke DSL or Cable Modem (approximately 1/3 raised their hands) She asked about their experiences with the non-Duke services? From Verizon - It is very reliable, there is about a 10 - 15 min wait to get to helpdesk and support can be confusing, but it is very reliable. Others mentioned Non-Duke DSL and RoadRunner both worked well.

Chris Cramer - Possibly Bob Currier has a test VPN that selected people on non-Duke DSL could test?

John Board - Everyone except users running servers at home can get equivalent service. If there is no viable way to do that commercially need to figure out how to meet those needs. The number may be low now but growing.

Robert Wolpert - Security problems are also growing and support goes right along with that, we will need to get a handle on that and put policies in place.

Pat Halpin- By going to free market will there always be pocket of people we can't help out.

Angel Dronsfield - Next step is to have a group of people work with defining what preferred vendors need to have and then get corporate level deals that will try to serve big pockets of users.

Ginny Cake - Likes John Board's approach, take the service delivery group of users and figure out how do we can meet those demands.

David Jamieson-Drake - He is still concerned about the Static IP address cost, if we go to external ISP we will pay higher rates The cost for a static IP is 30/mo at lowest speed and 60/mo for higher speeds. The cost models showed that option 3 was more cost effective, but that only 10 people were using the static IP. If more are using it, then it is not clear that institutionally we would be saving money on this option.

Tracy: Explained that those 10 people were a subset of 38% of the users who were being funded by Duke and that also had the highest level of service or a static IP.

Chris Cramer - People with static IPs, do the need fixed addresses or vanity names? unless you need vanity name, it may be possible for Duke to set up remote DNS server to meet the static IP address needs.

Tracy Futhey - Just to be clear, anything we choose is a new scenario from our current offering.

Robert Wolpert - There are a lot of people who want to access their home machine via SSH or web services

Melissa Mills - there is no way to support web services We need to trade off one way or another There are huge resources involved in maintaining and securing services There needs to be structure because otherwise we will not be able to support it .

Dick Danner - What makes provider a preferred provider ? Angel will get together a group - if you are interested in being part of that group, please send email to angel in next 5 days, this will begin quickly Will talk to vendors about what commercial offering Duke would need.

Pat Halpin - When we roll out VPN, we can use that as the time for data gathering, can initially survey people to find out where they are connecting from, etc.

Mike Baptiste- it seems like more and more there are certain areas say you need to be commercial provider - with VPN traffic, IPs, etc.

Mike Pickett - This is where we could distinguish who are the preferred vendors

Tracy - look at recommendation itself - month to month transition for a short while, move to option 3, having preferred providers. New users would be accepted during this time in restrictive cases. Being able to service higher end users - use as point of leverage with providers Rates will be raised rates to reflect actual costs.

David Jamieson Drake - the chart handout is a good start - begins to help ease transition and show users what services they might need

Roger Wolpert - Why not take new users during the interim?

Tracy - We will take new users but there will be specific requirements that
would make it available, don't want to have a lot more people to eventually
phase off the service, also new equipment would need to be purchased on the
network side.

Nhan Vo - current model where we allow multiple IP addresses, It is hard at
the network side to stay on top of who has the address because if you are a
home user, your neighbor can pick up your IPs

Mike Russell: Ease of payment is important Nevin - payment directly to TimeWarner - Terry Copeland knows how to set this up Tracy: Can add that as a requirement for preferred providers

Melissa Mills - She thinks that RoadRunner and Bellsouth DSL will not support Macs or hubs

Mike Baptiste - Each different ISP is going their way to sniff out NAT, etc.

Angel - That will be part of the discussions.. we want commercial services at discounted rates

Melissa - May be worth noting that people who have static IPs may not really need them, it may be an education issue.

We will go with the recommendation, update the website, convene the group to work on preferred providers, get the VPN going, and start the transition from current contract to month-to-month contract. We will not begin an official phase out of Duke ADSL until we have a VPN solution in place and have identified preferred providers.

III. Other business
